Cartoon Network to run Scooby-Doo marathon
~~~
Run 1
Molecular formula: C22H48CuN2O4
Method: DFT, ωB97M-V/def2-TZVPD

Output
- charge = -1
- orbital gap (eV) = 5.50
- highest occupied orbital energy (eV) = -3.106

Geometry (Å):
Cu 1.42688 -0.24792 -0.71952
C 0.47165 2.69105 -3.68465
C 1.78016 2.58375 -2.94507
O 2.02384 1.43754 -2.36859
H 0.20724 3.70518 -3.98419
H -0.33288 2.36858 -3.02370
H 0.48335 2.13151 -4.61999
H 1.75331 3.41608 -2.24180
H 2.69186 2.67917 -3.53482
C 4.38027 -3.67600 -0.70615
C 3.44122 -2.68693 -0.06744
O 3.58496 -1.33140 -0.48434
H 5.31196 -3.59805 -0.14581
H 4.37467 -3.34473 -1.74457
H 4.15702 -4.72990 -0.54012
H 3.24125 -2.65276 1.00352
H 2.52900 -2.94330 -0.60617
C 0.92344 2.62342 1.25750
C 1.07113 2.13476 2.77208
C 0.02377 2.89785 3.52810
C -0.52520 2.29873 4.82608
C -0.65624 0.73100 4.78968
C 0.47152 -0.07891 4.08274
N 0.80881 0.65420 2.84706
O 1.64664 -0.00772 1.98243
C 1.65286 -0.34968 5.05731
C -0.14260 -1.42230 3.66901
C 2.52544 2.50285 3.30807
H 1.16626 3.68601 1.26343
H -0.05685 2.58992 0.78210
H 1.67467 2.21003 0.58454
H 0.33376 3.86578 3.92196
H -0.81785 3.03312 2.84878
H -1.46000 2.77312 5.12474
H 0.16791 2.63308 5.59803
H -1.62279 0.35913 4.44967
H -0.64228 0.45448 5.84393
H 2.51438 -0.65550 4.46371
H 1.79188 0.45718 5.77686
H 1.43871 -1.18643 5.72222
H 0.42871 -2.06511 2.99931
H -0.33584 -1.96326 4.59537
H -1.04386 -1.48786 3.05948
H 2.74585 3.56728 3.38891
H 3.16655 1.98936 2.59154
H 2.63414 2.05901 4.29766
H 2.42518 -0.07231 2.54037
C -1.87947 0.40685 -0.21227
C -2.42336 -0.42231 -1.38141
C -3.07559 0.61054 -2.37509
C -3.47565 -0.00486 -3.74404
C -2.25291 -0.57223 -4.42590
C -1.44253 -1.63365 -3.51271
N -1.25057 -1.04737 -2.14355
O -0.44014 -1.79701 -1.23869
C -2.12337 -2.99227 -3.62622
C -0.03106 -1.70280 -4.18992
C -3.49403 -1.40614 -0.93763
H -1.27846 -0.11072 0.53540
H -2.70155 0.80172 0.38469
H -1.20427 1.20679 -0.51608
H -4.05930 0.84221 -1.96675
H -2.49526 1.52333 -2.50973
H -3.94748 0.76431 -4.35547
H -4.30659 -0.71016 -3.75723
H -1.57796 0.27457 -4.55029
H -2.43335 -0.99826 -5.41283
H -3.18061 -3.03035 -3.36370
H -2.19068 -3.33202 -4.65973
H -1.58548 -3.76960 -3.08350
H 0.70238 -2.25453 -3.60190
H 0.05608 -2.25988 -5.12275
H 0.49691 -0.74920 -4.19402
H -4.10515 -1.70407 -1.78960
H -4.16595 -1.02058 -0.17084
H -3.04640 -2.34902 -0.62343
H -0.92203 -2.59636 -1.01412

=====

Run 2
Molecular formula: C22H48CuN2O4
Method: DFT, ωB97M-V/def2-TZVPD

Output
- charge = -1
- orbital gap (eV) = 5.66
- highest occupied orbital energy (eV) = -3.212

Geometry (Å):
Cu 15.68501 2.97181 -14.53962
C 19.54288 1.33158 -14.89064
C 18.24431 0.57867 -15.16477
O 17.16000 1.37166 -15.37864
H 20.35551 0.69142 -14.51907
H 19.35909 2.06818 -14.10341
H 19.94729 1.80097 -15.79359
H 18.12586 -0.10504 -14.28780
H 18.25954 -0.05403 -16.07701
C 12.51903 4.06925 -17.45468
C 13.08626 3.83942 -16.05845
O 13.85709 2.66171 -15.94859
H 11.63462 3.42587 -17.55979
H 13.36020 3.83783 -18.10312
H 12.06856 5.05485 -17.61107
H 12.44954 3.91710 -15.16514
H 13.86706 4.62842 -16.01689
~~~
To celebrate Scooby-Doo's 30th anniversary, Cartoon Network will present a 24-hourSCOOBY-DOO, WHERE ARE YOU? marathon beginning Saturday, October 23 at noon,a 10-hour marathon of Scooby-Doo movies on Saturday, October 30, and aneight-hour SCOOBY & SCRAPPY-DOO marathon on October 31. Immediately beforeeach of the marathons, as well as during them, Cartoon Network will airlive-action footage which will be called THE SCOOBY-DOO PROJECT, in whichthe real Scooby Gang heads out into the woods for a documentary in a spoof
Cinar investigated for tax fraud
Montreal, Canada-based LE JOURNAL DE MONTREAL reported Friday, October 15that Cinar, producer of such shows as PBS' ARTHUR, THE BUSY WORLD OFRICHARD SCARRY, ARE YOU AFRAID OF THE DARK and WIMZIE'S HOUSE, substitutedthe names of Canadians for work done by non-Canadians to become eligiblefor tax credits that were intended to help Canada's film industry. Althoughthe film company was not named in the newspaper story, the CanadianBroadcasting Company (CBC) reports that on Friday, in the Canadian House of
Don't miss the ASIFA-East Animation Festival!
FableVision Studios and The Film Studies Program at Boston College areco-hosting the ASIFA-East Animation Festival for a one-night showing.FableVision's award-winning animated shorts THE BLUE SHOE and LIVINGFOREVER will be part of a line-up, which also includes the AcademyAward-winner BUNNY and films by Karen Aqua. Admission is free. The eventtakes place Wednesday, October 20, at 7:30 pm at Boston College, DevlinHall Room 08, 140 Commonwealth Avenue, Chestnut Hill, Massachusetts, USA.For more information visit
DPS ships dspReality
• Unrelated to this entry: calculated molecules:
1.
C7H7N | ωB97M-V with the def2-TZVPD basis set

XYZ file:
```
15
Properties=species:S:1:pos:R:3:mulliken_charge:R:1
C -0.270 -1.371 0.352 -0.280
C 0.169 -0.073 0.742 -0.026
C -0.588 1.080 0.439 -0.372
C -1.769 1.095 -0.169 -0.498
C -2.247 -0.317 -0.324 -0.156
C 3.113 -0.028 -0.196 -0.658
C 1.889 -0.175 -0.392 -0.390
H 0.474 -2.169 0.204 0.407
H 1.150 0.016 1.050 0.536
H -0.035 1.993 0.563 0.331
H -2.120 2.017 -0.761 0.298
H -3.238 -0.590 -0.487 0.468
H 4.181 0.157 -0.408 0.370
H 0.823 -0.190 -0.546 0.545
N -1.533 -1.445 -0.067 -0.575
```

Calculated values
frontier orbital gap = 8.703 eV
multiplicity = 1
DFT total energy = -8855.3882 eV
ΔE to the lowest compared entry with this formula, charge and spin = 143.81 kcal per mole
E_HOMO = -8.49 eV
SMILES = c1ccncc1.C#C

2.
C4H7NO2 | ωB97M-V with the def2-TZVPD basis set

XYZ file:
```
14
Properties=species:S:1:pos:R:3:mulliken_charge:R:1
N 1.755 0.753 1.300 -0.505
C 0.808 -0.114 0.788 0.800
O -0.393 0.526 0.617 -0.404
C 0.980 -1.412 0.527 -0.948
C -1.230 -0.080 -0.327 0.081
C -1.757 0.804 -1.351 -0.480
O -0.766 -0.185 -1.638 -0.404
H 1.689 1.719 1.017 0.240
H 2.695 0.385 1.313 0.218
H 0.134 -2.066 0.386 0.230
H 1.967 -1.843 0.470 0.223
H -1.767 -0.956 0.039 0.464
H -1.373 1.822 -1.353 0.218
H -2.740 0.648 -1.789 0.268
```

Calculated values
frontier orbital gap = 9.236 eV
multiplicity = 1
DFT total energy = -9844.4762 eV
ΔE to the lowest compared entry with this formula, charge and spin = 64.65 kcal per mole
E_HOMO = -8.18 eV
SMILES = C=C(N)O[C@H]1CO1

3.
C28H28N4O2PtS | ωB97M-V with the def2-TZVPD basis set

XYZ file:
```
64
Properties=species:S:1:pos:R:3:mulliken_charge:R:1
Pt 0.613 -0.555 -1.259 0.054
C -5.286 2.208 3.210 -1.547
C -4.301 1.217 2.656 0.919
C -2.961 1.246 3.032 -0.761
C -2.061 0.317 2.534 0.039
C -2.495 -0.655 1.649 -0.041
C -3.828 -0.707 1.270 -0.264
C -4.719 0.226 1.769 -0.971
S -1.350 -1.825 0.950 1.124
O -1.935 -3.121 1.156 -0.740
O -0.079 -1.548 1.579 -0.603
N -1.209 -1.484 -0.641 -0.531
C -1.800 -2.255 -1.622 1.153
C -2.919 -3.094 -1.468 -0.786
C -3.428 -3.723 -2.583 -0.637
C -2.857 -3.516 -3.829 -0.595
C -1.770 -2.670 -3.885 -0.423
N -1.243 -2.073 -2.817 -0.311
H -4.780 3.080 3.625 0.360
H -5.877 1.755 4.008 0.329
H -5.979 2.548 2.441 0.375
H -2.615 2.009 3.720 0.372
H -1.018 0.343 2.820 0.450
H -4.167 -1.468 0.579 0.276
H -5.758 0.188 1.464 0.398
H -3.371 -3.267 -0.506 0.423
H -4.290 -4.371 -2.473 0.396
H -3.246 -3.985 -4.722 0.375
H -1.283 -2.450 -4.829 0.391
N -0.860 6.573 -0.717 -0.550
C -0.652 5.444 -0.795 -0.073
C -0.395 4.041 -0.882 0.370
C -1.174 3.138 -0.158 -0.907
C -0.921 1.780 -0.227 0.357
C 0.121 1.283 -1.008 0.117
C 0.891 2.202 -1.742 -0.595
C 0.637 3.560 -1.689 -0.725
H -1.987 3.507 0.456 0.577
H -1.553 1.102 0.318 0.400
H 1.690 1.831 -2.373 0.606
H 1.235 4.255 -2.265 0.485
C 2.414 0.067 1.706 -0.736
N 3.515 0.971 1.257 0.013
C 4.780 0.670 1.969 -0.871
C 3.680 0.989 -0.262 -0.639
C 3.832 -0.380 -0.836 1.513
C 5.103 -0.955 -0.902 -0.585
• The calculated molecules stop here:
Digital Processing Systems (DPS), recently released a new animation andcompositing Studio Digital Disk Recorder, dpsReality. Designed foranimators, 2D artists and broadcast designers, dpsReality is based on anewReality hardware system debuted by DPS at SIGGRAPH 99 and IBC 99.dpsReality features include a cuts editor for clip preview and final videooutput, real time graphic overlay, and four track audio with volume and pancontrol. It also ships with a modified version of Eyeon Software's Digital
THE SIXTH SENSE finishes eighth at US boxoffice
Buena Vista's supernatural thriller THE SIXTH SENSE, with visual effects byDreamQuest, finished eighth at the US weekend boxoffice, grossing anestimated $5.2 million, for a total of $249.9 million. No other animationrelated films finished in the top ten.
Europeans set up new animation group
Seven European animation companies have joined to form a company called theEuropean Animation Group, although its name is likely to change. The grouphopes to produce a minimum of one animated feature or series per year,beginning in 2001 with its first feature, the $15 million ELFQUEST, set togo into production in January 2000. The announcement was made at MIPCOMheld October 4 - 8 in Cannes, France. European Animation Group bringstogether seven companies. From France, the partners are
Yuri Norstein and Nina Shorina visit US
**Molecular data that have nothing to do with the article**
-- begin --
(1)
Formula: C14H54N12O13
Source: OMol25
Level of theory: the ωB97M-V functional and the def2-TZVPD basis

Each line ends with the Mulliken charge.
Geometry (Å):
C (1.96, 1.46, -3.59)  -0.52
C (2.31, 0.79, -4.85)  -0.57
O (1.21, 0.80, -5.80)  -0.49
H (1.78, 2.50, -3.63)  0.76
H (2.87, 1.33, -3.01)  0.25
H (1.13, 0.92, -3.10)  -0.43
H (2.71, -0.19, -4.73)  0.45
H (3.11, 1.41, -5.32)  0.30
H (1.49, 0.25, -6.52)  0.28
C (-1.31, -0.59, 3.60)  -0.64
O (-1.22, 0.12, 4.80)  -0.77
N (-1.82, -1.79, 3.41)  0.04
N (-0.69, -0.07, 2.54)  0.97
H (-2.18, -2.38, 4.23)  0.44
H (-2.40, -2.10, 2.57)  0.22
H (-0.46, 0.91, 2.72)  0.04
H (-0.88, -0.28, 1.50)  -0.36
C (-2.05, 2.17, -4.75)  0.40
O (-3.41, 2.20, -4.58)  -0.80
N (-1.67, 2.73, -5.84)  -0.31
N (-1.17, 1.53, -4.06)  0.15
H (-2.39, 3.22, -6.34)  0.26
H (-0.71, 2.97, -6.21)  0.19
H (-1.53, 1.12, -3.18)  0.11
H (-0.17, 1.65, -4.24)  0.00
C (1.38, -2.46, 4.51)  0.21
O (2.27, -2.79, 5.53)  -0.78
N (0.26, -3.05, 4.24)  -0.30
N (1.57, -1.47, 3.63)  0.38
H (-0.01, -3.90, 4.79)  0.27
H (-0.47, -2.65, 3.58)  0.52
H (2.30, -0.76, 3.84)  0.19
H (0.87, -1.21, 2.95)  -0.18
C (-3.25, -2.67, 0.24)  0.35
O (-2.58, -3.81, -0.14)  -0.68
N (-3.62, -2.42, 1.46)  -0.48
N (-3.43, -1.70, -0.59)  -0.57
H (-3.69, -3.27, 2.16)  0.35
H (-4.30, -1.66, 1.61)  0.06
H (-3.11, -2.00, -1.58)  0.29
H (-4.04, -0.87, -0.55)  0.26
C (1.06, -3.90, 0.93)  0.17
O (0.34, -2.76, 0.78)  -0.66
N (1.61, -4.62, 0.01)  -0.35
N (1.42, -4.23, 2.14)  -0.29
H (1.51, -4.32, -1.01)  0.30
H (1.67, -5.62, 0.12)  0.22
H (1.04, -3.65, 2.96)  0.26
H (1.86, -5.08, 2.45)  0.18
C (-0.44, 0.30, -0.67)  0.02
O (-1.21, 1.07, -1.45)  -0.96
N (-0.91, -0.72, -0.02)  0.68
N (0.73, 0.73, -0.14)  2.42
H (-1.94, -1.04, -0.25)  -0.49
H (-0.34, -1.43, 0.44)  0.44
H (1.27, 1.41, -0.71)  -0.44
H (1.30, 0.18, 0.47)  -0.54
C (2.10, -1.62, -1.90)  0.09
O (2.98, -2.61, -2.32)  -0.63
H (2.72, -0.70, -1.84)  0.01
H (1.58, -1.82, -0.94)  -0.19
H (1.38, -1.41, -2.64)  0.22
H (3.50, -2.88, -1.64)  0.40
C (1.31, 3.62, -1.22)  -0.77
O (2.48, 2.83, -1.02)  -0.57
H (0.50, 3.11, -0.86)  -0.04
H (1.13, 4.02, -2.20)  0.38
H (1.23, 4.38, -0.53)  0.48
H (3.08, 3.06, -1.72)  0.34
C (-2.32, 3.86, -0.58)  -0.24
O (-2.30, 5.23, -0.36)  -0.58
H (-3.34, 3.57, -0.79)  0.38
H (-1.70, 3.31, 0.19)  0.16
H (-1.82, 3.82, -1.54)  -0.03
H (-2.97, 5.44, 0.34)  0.31
C (1.37, 2.32, 2.72)  -0.59
O (0.34, 2.61, 1.75)  -0.60
H (0.97, 1.62, 3.49)  0.23
H (1.78, 3.18, 3.27)  0.40
H (2.26, 1.93, 2.25)  0.05
H (0.30, 2.02, 1.05)  0.31
C (-4.10, 0.65, 2.62)  -0.53
O (-3.08, 1.16, 1.86)  -0.39
H (-4.47, -0.34, 2.27)  0.11
H (-4.97, 1.34, 2.41)  0.27
H (-3.87, 0.76, 3.71)  0.27
H (-2.34, 0.54, 2.00)  0.30
C (4.02, -0.37, 0.65)  -0.90
O (2.73, -0.62, 1.20)  -0.29
H (4.80, -0.16, 1.49)  0.24
H (3.82, 0.52, 0.10)  0.25
H (4.46, -1.12, -0.01)  0.23
H (2.78, -1.54, 1.40)  0.12

Properties
- ΔE to the lowest compared entry with this formula, charge and spin (kcal/mol) = 218.1
- Kohn-Sham gap (eV) = 8.02
- HOMO energy (eV) = -8.21
-- stop --
**The molecular data stop here**
Russian animators Yuri Norstein and Nina Shorina are visiting the US.ASIFA-Hollywood will host a reception for Yuri Norstein on Thursday,October 21, 1999 from 7-9 p.m. at ASIFA-Hollywood's Animation Center,located at 721 South Victory Blvd., in Burbank.There is no charge to attend this reception. However due to limitedspace, reservations are required. To RSVP, please call the ASIFA-Hollywoodoffice at (818) 842-8330. Born in Moscow in 1941, Norstein is consideredone of the most remarkable animation directors to emerge from the current
CDIS sponsors Environment.Com
British Columbia-based CDIS, a media arts college, is sponsoringEnvironment.Com: Generating Community Stewardship and Sustainability forOur Environment Through New Media. The event takes place October 24, 1999,11 am - 4 pm at CDIS which is located at 3264 Beta Ave. in Burnaby, BritishColumbia, Canada. CDIS's sponsorship includes the use of its 20,000 sq. ft.campus in Burnaby, complete with high-speed Internet connections, and thepresentation of free seminars on New Media technologies. For more
RING OF FIRE completes Infiniti effects
West Hollywood, California-based RING OF FIRE completed the visual effectsfor two spots for the new Infiniti I30 luxury sedan and agency TBWAChiat/Day. For "Rain" Ring of Fire added time-lapse clouds, individuallyrotoscoped each raindrop and added visual enhancements to the car and itsenvironment. For "Aspens" they created the mirror's reflection, compositedclouds and birds in trees, and added shadows to the trees.
BUENA VISTA PICTURES MARKETING has promoted MAE JOYCE to vice president ofnational publicity, and DAVID SINGH to vice president of creative filmservices. JOYCE will be responsible for strategizing, coordinating andadministrating all aspects of national publicity for films released underthe Walt Disney Pictures, Touchstone Pictures and Hollywood Picturesbanners. Joyce joined Disney in November 1996 after two years as apublicist with Warner Bros. During her tenure at Disney, she has served as
DISNEY PUBLISHING WORLDWIDE has named STEVE ASTER vice president ofcirculation and global operations, and LISA HOLTON has been promoted tosenior vice president, group publisher for global children's books. ASTERwill manage global operations and production services, which includesmanufacturing, printing, and co-printing, as well as a wide range ofservices to Disney Publishing Worldwide's licensees. Aster joined The WaltDisney Company in 1998 as vice president of circulation for Buena Vista
THE ATTIK moves people around
JAMES SOMMERVILLE, co-founder of THE ATTIK, has relinquished his mostrecent role as creative director of the New York branch to oversee thedevelopment of the company throughout its five offices in Huddersfield(England), London, New York, San Francisco and Sydney. While based inLondon, Sommerville will continue to direct both commercials and long formprojects through The Attik/New York and London. Also, The Attik's executiveproducer JIM MORAN has added managing director to his title and assumed
OXYGEN MEDIA, Geraldine Laybourne's media company founded to providecontent for women, has promoted LISA GERSH HALL to chief operating officer.She will be responsible for legal matters, finance, human resources,business affairs and e-commerce. Previously, Hall was general counsel andchief administrative officer. Oxygen has also hired DAN TAITZ to be generalcounsel. He was formerly a partner with New York law firm Friedman Kaplan &Seiler.
SONY PICTURES FAMILY ENTERTAINMENT (SPFE) has hired TAMARA Y. WOOLFORK asdirector of business affairs. Woolfork will be responsible for SPFE's fullrange of business affairs negotiations for theatrical motion pictures,television and direct-to-video productions. Woolfork joins Sony from WarnerBros. Feature Animation where she served as director of business and legalaffairs for the last three years on projects such as QUEST FOR CAMELOT andTHE IRON GIANT.
NewKidCo and Disney Interactive join to develop console titles
Burlington, Massachusetts-based NewKidCo International Inc., a children'sgame publisher, and Disney Interactive have entered into a multi-yearagreement to develop and publish console video games featuring popularDisney properties. Through the deal, NewKidCo has obtained the rights topublish interactive adventures for various video game platforms, includingPlayStation, Nintendo 64 and Game Boy Color. As part of the agreement, thefirst title targeted for release will be DISNEY'S ANIMATED STORYBOOK:
SEGA GAMEWORKS hires RON BENSION as president and CEO
SEGA GAMEWORKS, a location-based entertainment venture formed by StevenSpielberg and DreamWorks SKG, Universal Studios and Sega Enterprises, hasnamed leisure entertainment industry veteran, RON BENSION, as president andCEO. As Chairman and CEO of MCA/Universal Studios Recreation Group from1992 to 1996, Bension was responsible for running all aspects of UniversalStudios Hollywood and Universal Studios Florida in addition to developinginternational theme park joint ventures in the United Kingdom and Japan.
KLEISER-WALCZAK CONSTRUCTION CO., which has studios in North Adams,Massachusetts, Manhattan, and Hollywood, has hired JIM HATCH as chiefoperating officer. Hatch will oversee the company's daily administration,operations, and financial management, working with co-founders and ownersJeff Kleiser and Diana Walczak. Hatch previously worked at AmericanInteractive Media, Inc. where he was chief operating officer and corporatesecretary.
A Closer Look: Canada, a major player in the animation industry
Two years ago, Walt Disney Animation Canada Inc. expanded its productionservices by officially opening a permanent studio in Toronto, in additionto the one which has been operating in Vancouver since 1996. Bothfacilities operate as one co-existing production unit referred to as "theCanadian studio." It also handles pre-production, such as storyboarding,character design and layout, thus creating the first full-service facilityin the Walt Disney Television Animation family. Whereas Hollywood had
CINANIMA '99 daily programs now available
The Cinanima International Animated Film Festival will be held November8-14, 1999, in Espinho, Portugal. In addition to this year's officialcompetition program, as well as the retrospectives and exhibitions, thefestival web site now offers the festival daily program on their web site.
October Acrobat Issue of Animation World Magazine Now Online!
As the holidays approach our minds turn to licensing and merchandising andwhat is going to be on the shelves this winter. In this issue TarletonGillespie takes us on a trip through Toys R Us to determine the meaning oftoys to kids. The French licensing and merchandising market is detailed byValerie Rivoallon. Sharon Schatz profiles toon loving Rhino Records andKaren Raugust looks at how "Sesame Street's" content changes as the popularshow travels around the world. "Toy Wishes" predicts this year's top dozen
Job opportunity for a Digital Animation Instructor
Will your school be listed in AWN's Winter 2000 Animation School Directory?
AWN's Winter 2000 Animation School Directory is coming in December.Educators and School Administrators - don't miss out! Make sure AWN's nextschool directory includes the most current information about youreducational program....
New clips, columns and links in the Student Corner!
This week, we highlight AWN's exclusive two part story on legendaryanimator Bob Clampett, his award winning work at Warner Bros. and hisfamous Beany and Cecil show - plus Glenn Vilppu's latest masterclass tutorial...
This week's Animation Trivia Quiz: Famous Animators and Comic Strips
This week's AWN Animation Trivia Quiz features questions famous animators and their close relationship with "comics."...
New ADULTS ONLY Plympton Comic of the Week!
This week's comic, extracted from the comic book, "SleazyCartoons of Bill Plympton," is for ADULTS ONLY....